## Excerpt
<<<
Tm2Mo2C3: relaxed, meta-GGA r2SCAN.

Cell and atoms, written as POSCAR:
```
Tm2Mo2C3
1.0
0.996 -1.980 2.447
1.251 4.513 3.142
-5.943 -0.719 -0.392
Tm C Mo
2 3 2
Direct
0.389 0.172 0.778 Tm
0.611 0.828 0.222 Tm
0.248 0.736 0.496 C
0.752 0.264 0.504 C
0.000 0.000 0.000 C
0.156 0.327 0.312 Mo
0.844 0.673 0.688 Mo
```

**V**: 100 Å³ per cell
**Energy relative to the elements**: -512 meV/atom


This record from Materials Project describes a relaxed K7Bi9O24 crystal. The functional is PBE.

Results
- calculated volume (Å³/atom) = 15.72
- ΔE_f (eV per atom) = -1.516

Cell: 9.5777 9.5777 9.5784 Å, 66.43 66.43 53.12°
Fractional positions:
O: 0.7554 0.2446 0.0000
O: 0.7126 0.1719 0.7310
O: 0.0577 0.0577 0.7302
O: 0.5000 0.0000 0.0000
O: 0.1139 0.6559 0.4998
O: 0.2874 0.8281 0.2690
O: 0.4399 0.9384 0.7434
O: 0.3178 0.3178 0.7437
O: 0.6559 0.1139 0.4998
O: 0.6822 0.6822 0.2563
O: 0.2446 0.7554 0.0000
O: 0.0000 0.5000 0.0000
O: 0.3441 0.8861 0.5002
O: 0.9384 0.4399 0.7434
O: 0.4399 0.4399 0.2549
O: 0.1719 0.7126 0.7310
O: 0.9423 0.9423 0.2698
O: 0.1732 0.1732 0.2687
O: 0.5601 0.5601 0.7451
O: 0.8268 0.8268 0.7313
O: 0.8861 0.3441 0.5002
O: 0.8281 0.2874 0.2690
O: 0.0616 0.5601 0.2566
O: 0.5601 0.0616 0.2566
K: 0.7518 0.7518 0.5000
K: 0.2482 0.2482 0.5000
K: 0.6247 0.6247 0.9986
K: 0.5000 0.5000 0.5000
K: 0.3753 0.3753 0.0014
K: 0.1251 0.1251 0.0022
K: 0.8749 0.8749 0.9978
Bi: 0.0000 0.0000 0.5000
Bi: 0.5604 0.0633 0.7508
Bi: 0.8119 0.3137 0.7506
Bi: 0.9367 0.4396 0.2492
Bi: 0.0633 0.5604 0.7508
Bi: 0.3137 0.8119 0.7506
Bi: 0.1881 0.6863 0.2494
Bi: 0.4396 0.9367 0.2492
Bi: 0.6863 0.1881 0.2494

***

This record from Materials Project describes a relaxed BaP2Ir2 crystal. The functional is PBE.

Results
- calculated volume (Å³/atom) = 20.37
- ΔE_f (eV per atom) = -0.847

Cell: 3.9907 3.9907 6.9910 Å, 106.58 106.58 90.00°
Fractional positions:
P: 0.6486 0.6486 0.2972
P: 0.3514 0.3514 0.7028
Ba: 0.0000 0.0000 0.0000
Ir: 0.7500 0.2500 0.5000
Ir: 0.2500 0.7500 0.5000

***

This record from Materials Project describes a relaxed LiScB4H16 crystal. The functional is PBE.

Results
- calculated volume (Å³/atom) = 9.89
- ΔE_f (eV per atom) = -0.376

Cell: 6.1166 6.1166 11.6431 Å, 90.00 90.00 92.20°
Fractional positions:
H: 0.7250 0.7597 0.2555
H: 0.4517 0.3428 0.3944
H: 0.4701 0.7783 0.6316
H: 0.2895 0.7783 0.2369
H: 0.1628 0.8377 0.5785
H: 0.2750 0.2403 0.2555
H: 0.5483 0.6572 0.3944
H: 0.2403 0.2750 0.7555
H: 0.2217 0.7105 0.7369
H: 0.9347 0.7109 0.8973
H: 0.1623 0.8372 0.0785
H: 0.7109 0.9347 0.3973
H: 0.8377 0.1628 0.0785
H: 0.0653 0.2891 0.8973
H: 0.2891 0.0653 0.3973
H: 0.3555 0.1267 0.8965
H: 0.7105 0.2217 0.2369
H: 0.1267 0.3555 0.3965
H: 0.5266 0.2641 0.0984
H: 0.7783 0.4701 0.1316
H: 0.6572 0.5483 0.8944
H: 0.7359 0.4734 0.5984
H: 0.8733 0.6445 0.3965
H: 0.4734 0.7359 0.0984
H: 0.2641 0.5266 0.5984
H: 0.8372 0.1623 0.5785
H: 0.2217 0.5299 0.1316
H: 0.7783 0.2895 0.7369
H: 0.7597 0.7250 0.7555
H: 0.5299 0.2217 0.6316
H: 0.6445 0.8733 0.8965
H: 0.3428 0.4517 0.8944
B: 0.2817 0.7269 0.1338
B: 0.2731 0.7183 0.6338
B: 0.7480 0.7211 0.8619
B: 0.7183 0.2731 0.1338
B: 0.2520 0.2789 0.8619
B: 0.7269 0.2817 0.6338
B: 0.2789 0.2520 0.3619
B: 0.7211 0.7480 0.3619
Li: 0.0000 0.0000 0.9421
Li: 0.0000 0.0000 0.4421
Sc: 0.5000 0.5000 0.7345
Sc: 0.5000 0.5000 0.2345

***

This record from Materials Project describes a relaxed NaReN2 crystal. The functional is PBE.

Results
- calculated volume (Å³/atom) = 16.26
- ΔE_f (eV per atom) = -0.285

Cell: 5.9376 12.3613 14.1775 Å, 90.00 90.00 90.00°
Fractional positions:
Na: 0.2832 0.0428 0.9350
Na: 0.7832 0.0428 0.5650
Na: 0.3311 0.2790 0.8137
Na: 0.2168 0.9572 0.4350
Na: 0.7168 0.5428 0.5650
Na: 0.6689 0.7210 0.1863
Na: 0.7168 0.9572 0.0650
Na: 0.6689 0.7790 0.6863
Na: 0.1689 0.7210 0.3137
Na: 0.2832 0.4572 0.4350
Na: 0.1689 0.7790 0.8137
Na: 0.8311 0.2790 0.6863
Na: 0.3311 0.2210 0.3137
Na: 0.8311 0.2210 0.1863
Na: 0.7832 0.4572 0.0650
Na: 0.2168 0.5428 0.9350
N: 0.2192 0.4265 0.0831
N: 0.9018 0.4939 0.7211
>>>

## To do
Now print everything further up without additions.

## Response
Tm2Mo2C3: relaxed, meta-GGA r2SCAN.

Cell and atoms, written as POSCAR:
```
Tm2Mo2C3
1.0
0.996 -1.980 2.447
1.251 4.513 3.142
-5.943 -0.719 -0.392
Tm C Mo
2 3 2
Direct
0.389 0.172 0.778 Tm
0.611 0.828 0.222 Tm
0.248 0.736 0.496 C
0.752 0.264 0.504 C
0.000 0.000 0.000 C
0.156 0.327 0.312 Mo
0.844 0.673 0.688 Mo
```

**V**: 100 Å³ per cell
**Energy relative to the elements**: -512 meV/atom


This record from Materials Project describes a relaxed K7Bi9O24 crystal. The functional is PBE.

Results
- calculated volume (Å³/atom) = 15.72
- ΔE_f (eV per atom) = -1.516

Cell: 9.5777 9.5777 9.5784 Å, 66.43 66.43 53.12°
Fractional positions:
O: 0.7554 0.2446 0.0000
O: 0.7126 0.1719 0.7310
O: 0.0577 0.0577 0.7302
O: 0.5000 0.0000 0.0000
O: 0.1139 0.6559 0.4998
O: 0.2874 0.8281 0.2690
O: 0.4399 0.9384 0.7434
O: 0.3178 0.3178 0.7437
O: 0.6559 0.1139 0.4998
O: 0.6822 0.6822 0.2563
O: 0.2446 0.7554 0.0000
O: 0.0000 0.5000 0.0000
O: 0.3441 0.8861 0.5002
O: 0.9384 0.4399 0.7434
O: 0.4399 0.4399 0.2549
O: 0.1719 0.7126 0.7310
O: 0.9423 0.9423 0.2698
O: 0.1732 0.1732 0.2687
O: 0.5601 0.5601 0.7451
O: 0.8268 0.8268 0.7313
O: 0.8861 0.3441 0.5002
O: 0.8281 0.2874 0.2690
O: 0.0616 0.5601 0.2566
O: 0.5601 0.0616 0.2566
K: 0.7518 0.7518 0.5000
K: 0.2482 0.2482 0.5000
K: 0.6247 0.6247 0.9986
K: 0.5000 0.5000 0.5000
K: 0.3753 0.3753 0.0014
K: 0.1251 0.1251 0.0022
K: 0.8749 0.8749 0.9978
Bi: 0.0000 0.0000 0.5000
Bi: 0.5604 0.0633 0.7508
Bi: 0.8119 0.3137 0.7506
Bi: 0.9367 0.4396 0.2492
Bi: 0.0633 0.5604 0.7508
Bi: 0.3137 0.8119 0.7506
Bi: 0.1881 0.6863 0.2494
Bi: 0.4396 0.9367 0.2492
Bi: 0.6863 0.1881 0.2494

***

This record from Materials Project describes a relaxed BaP2Ir2 crystal. The functional is PBE.

Results
- calculated volume (Å³/atom) = 20.37
- ΔE_f (eV per atom) = -0.847

Cell: 3.9907 3.9907 6.9910 Å, 106.58 106.58 90.00°
Fractional positions:
P: 0.6486 0.6486 0.2972
P: 0.3514 0.3514 0.7028
Ba: 0.0000 0.0000 0.0000
Ir: 0.7500 0.2500 0.5000
Ir: 0.2500 0.7500 0.5000

***

This record from Materials Project describes a relaxed LiScB4H16 crystal. The functional is PBE.

Results
- calculated volume (Å³/atom) = 9.89
- ΔE_f (eV per atom) = -0.376

Cell: 6.1166 6.1166 11.6431 Å, 90.00 90.00 92.20°
Fractional positions:
H: 0.7250 0.7597 0.2555
H: 0.4517 0.3428 0.3944
H: 0.4701 0.7783 0.6316
H: 0.2895 0.7783 0.2369
H: 0.1628 0.8377 0.5785
H: 0.2750 0.2403 0.2555
H: 0.5483 0.6572 0.3944
H: 0.2403 0.2750 0.7555
H: 0.2217 0.7105 0.7369
H: 0.9347 0.7109 0.8973
H: 0.1623 0.8372 0.0785
H: 0.7109 0.9347 0.3973
H: 0.8377 0.1628 0.0785
H: 0.0653 0.2891 0.8973
H: 0.2891 0.0653 0.3973
H: 0.3555 0.1267 0.8965
H: 0.7105 0.2217 0.2369
H: 0.1267 0.3555 0.3965
H: 0.5266 0.2641 0.0984
H: 0.7783 0.4701 0.1316
H: 0.6572 0.5483 0.8944
H: 0.7359 0.4734 0.5984
H: 0.8733 0.6445 0.3965
H: 0.4734 0.7359 0.0984
H: 0.2641 0.5266 0.5984
H: 0.8372 0.1623 0.5785
H: 0.2217 0.5299 0.1316
H: 0.7783 0.2895 0.7369
H: 0.7597 0.7250 0.7555
H: 0.5299 0.2217 0.6316
H: 0.6445 0.8733 0.8965
H: 0.3428 0.4517 0.8944
B: 0.2817 0.7269 0.1338
B: 0.2731 0.7183 0.6338
B: 0.7480 0.7211 0.8619
B: 0.7183 0.2731 0.1338
B: 0.2520 0.2789 0.8619
B: 0.7269 0.2817 0.6338
B: 0.2789 0.2520 0.3619
B: 0.7211 0.7480 0.3619
Li: 0.0000 0.0000 0.9421
Li: 0.0000 0.0000 0.4421
Sc: 0.5000 0.5000 0.7345
Sc: 0.5000 0.5000 0.2345

***

This record from Materials Project describes a relaxed NaReN2 crystal. The functional is PBE.

Results
- calculated volume (Å³/atom) = 16.26
- ΔE_f (eV per atom) = -0.285

Cell: 5.9376 12.3613 14.1775 Å, 90.00 90.00 90.00°
Fractional positions:
Na: 0.2832 0.0428 0.9350
Na: 0.7832 0.0428 0.5650
Na: 0.3311 0.2790 0.8137
Na: 0.2168 0.9572 0.4350
Na: 0.7168 0.5428 0.5650
Na: 0.6689 0.7210 0.1863
Na: 0.7168 0.9572 0.0650
Na: 0.6689 0.7790 0.6863
Na: 0.1689 0.7210 0.3137
Na: 0.2832 0.4572 0.4350
Na: 0.1689 0.7790 0.8137
Na: 0.8311 0.2790 0.6863
Na: 0.3311 0.2210 0.3137
Na: 0.8311 0.2210 0.1863
Na: 0.7832 0.4572 0.0650
Na: 0.2168 0.5428 0.9350
N: 0.2192 0.4265 0.0831
N: 0.9018 0.4939 0.7211